Entries:
/*
Record 1
Material: TbPm2DyHo5
Method: DFT, PBE
State: optimized geometry

```
18
Lattice="8.6117 0.0000 0.0000 0.0000 8.6117 0.0000 -4.3059 -4.3059 7.7890" Properties=species:S:1:pos:R:3 pbc="T T T"
Tb 4.3059 4.3059 3.8945
Tb 0.0000 0.0000 3.8945
Ho 0.0000 0.0000 0.0000
Ho 6.1255 6.7920 2.1701
Ho 2.4862 1.8197 2.1701
Ho 1.8197 2.4862 5.6190
Ho 4.3059 4.3059 0.0000
Ho -2.4862 1.8197 5.6190
Ho -1.8197 -2.4862 5.6190
Ho 6.7920 2.4862 2.1701
Ho 2.4862 -1.8197 5.6190
Ho 1.8197 6.1255 2.1701
Pm 3.2953 7.6011 0.0000
Pm 7.6011 5.3165 0.0000
Pm 5.3165 1.0106 0.0000
Pm 1.0106 3.2953 0.0000
Dy 4.3059 0.0000 3.8945
Dy 0.0000 4.3059 3.8945
```

=====

Record 2
Material: LiSnHgPt
Method: DFT, PBE
State: optimized geometry

```
4
Lattice="-0.1547 4.6095 0.9528 -4.0109 2.3947 -0.5977 -2.3969 1.5512 3.7454" Properties=species:S:1:pos:R:3 pbc="T T T"
Sn 0.0000 0.0000 0.0000
Hg -3.2812 4.2777 2.0502
Pt -4.9218 6.4166 3.0753
Li -1.6406 2.1389 1.0251
```

=====

Record 3
Material: Cd2Ag8Au
Method: DFT, PBE
State: optimized geometry

```
11
Lattice="-1.0511 -2.4272 -4.1736 -5.3259 -4.2908 2.0268 -5.2655 3.9339 -2.7716" Properties=species:S:1:pos:R:3 pbc="T T T"
Ag -5.2643 -4.1695 -2.5003
Ag -4.8530 -0.8640 -1.5420
Ag -6.3782 1.3855 -2.4181
Ag -5.2342 -0.0672 -4.8937
Ag -7.7779 -0.5588 -1.0556
Ag -6.4083 -2.7168 -0.0247
Ag -3.8646 -2.2253 -3.8628
Ag -6.7895 -1.9200 -3.3764
Cd -2.0632 -1.1388 -1.9780
Cd -9.5793 -1.6452 -2.9404
Au 0.0000 0.0000 0.0000
```

=====

| no. | DOS at the Fermi energy (states/eV/f.u.) | DFT formation energy (eV/atom) | VASP energy (eV/atom) |
| --- | --- | --- | --- |
| 1 | 11.02 | 0.274 | -4.351 |
| 2 | 1.66 | -0.376 | -3.441 |
| 3 | 3.50 | 0.153 | -2.385 |
*/

Work order:
Could you search the block further up for the word "VASP" and repeat each line that has it?

Here it is:
| no. | DOS at the Fermi energy (states/eV/f.u.) | DFT formation energy (eV/atom) | VASP energy (eV/atom) |